== Listing ==
____________
1.
A molecular structure, H3NO3S at a distorted geometry. Source: the OMol25 dataset; level of theory: ωB97M-V/def2-TZVPD.

highest occupied orbital energy	-10.70	eV
relative energy (zero: lowest compared OMol25 entry of this formula, charge and spin)	4.209	eV
energy	-680.3036	a.u.

Last column: natural (NBO) charge in e.
Atoms and positions in Å:
H -1.49532 0.42232 1.11797  0.450
H -1.84035 -0.36722 -0.71498  0.414
H 1.82349 -0.81490 1.01381  0.531
N -1.01662 -0.27072 0.11505  -1.128
O 0.88583 0.22856 1.04221  -0.904
O 0.44109 1.55437 -0.95486  -0.895
O 0.86653 -0.95756 -1.14925  -0.925
S 0.33535 0.20515 -0.46995  2.456

Atoms 1-2, force components in eV/Å:
2.1460 -2.6516 -4.5283
2.7983 0.4746 3.0094

=====

2.
A molecular structure, C26H42N6SiY at a distorted geometry. Source: the OMol25 dataset; level of theory: ωB97M-V/def2-TZVPD.

highest occupied orbital energy	-9.66	eV
total charge	+1
relative energy (zero: lowest compared OMol25 entry of this formula, charge and spin)	0.000	eV
energy	-1672.1846	a.u.

Last column: natural (NBO) charge in e.
Atoms and positions in Å:
Y 0.48784 0.15252 -0.28892  2.002
C -0.72708 3.11872 -1.36938  -0.414
N 0.18056 2.10292 -1.93729  -0.556
C 1.53136 2.67717 -2.13516  -0.411
C -0.31022 1.56972 -3.21903  0.138
C -0.58994 2.43272 -4.26703  -0.228
C -0.94948 1.94455 -5.51201  -0.242
C -0.97384 0.56776 -5.69895  -0.175
C -0.69604 -0.29615 -4.65105  -0.261
C -0.40453 0.18610 -3.36893  0.132
N -0.14210 -0.60345 -2.24432  -0.924
C -0.39543 -1.98816 -2.22650  0.213
C -1.52055 -2.57416 -2.81055  -0.256
C -1.70287 -3.94728 -2.79367  -0.189
C -0.76994 -4.76698 -2.17250  -0.223
C 0.31656 -4.19094 -1.53261  -0.217
C 0.49607 -2.81337 -1.52934  0.053
N 1.58620 -2.15631 -0.81287  -0.533
C 2.73010 -1.90655 -1.71391  -0.410
C 2.02753 -2.88465 0.38552  -0.420
H -0.71990 4.04198 -1.95154  0.207
H -0.41296 3.36245 -0.35135  0.210
H -1.74376 2.72917 -1.35170  0.220
H 1.50530 3.48425 -2.87016  0.207
H 2.21086 1.90522 -2.49518  0.222
H 1.90780 3.06957 -1.19127  0.221
H -0.51168 3.50494 -4.11778  0.213
H -1.17699 2.62330 -6.32284  0.226
H -1.20728 0.15711 -6.67414  0.224
H -0.68803 -1.36141 -4.83511  0.226
H -2.26353 -1.93536 -3.27183  0.227
H -2.57815 -4.37698 -3.26601  0.225
H -0.89076 -5.84223 -2.17232  0.226
H 1.02828 -4.82895 -1.02230  0.220
H 3.19611 -2.85028 -2.00772  0.206
H 3.47327 -1.29010 -1.20541  0.215
H 2.38140 -1.39302 -2.60701  0.232
H 2.60356 -3.77805 0.13374  0.203
H 1.16260 -3.18218 0.97695  0.220
H 2.66750 -2.23205 0.98086  0.221
C -1.13293 0.48448 5.13030  -0.421
C 0.02087 -0.28214 4.52500  -0.211
N -0.28257 -0.58174 3.11994  -0.584
C -1.45321 -0.30724 2.47924  0.660
N -1.46846 -0.25690 1.15702  -0.793
C -2.77248 -0.17986 0.49294  -0.216
C -3.72493 0.69897 1.27470  -0.422
C -3.86496 0.10523 2.65972  -0.199
N -2.54078 -0.12199 3.24956  -0.412
C -2.42316 -0.19194 4.70808  -0.207
H -1.13917 1.51173 4.75611  0.216
H -1.03813 0.51762 6.21434  0.241
H 0.17130 -1.21733 5.06517  0.203
H 0.94671 0.28900 4.57723  0.224
H 0.51306 -0.72296 2.52015  0.399
H -3.19605 -1.18389 0.39010  0.203
H -2.62769 0.19945 -0.52014  0.211
H -4.69935 0.74863 0.78845  0.236
H -3.32161 1.71295 1.34654  0.210
H -4.41646 -0.83676 2.61055  0.201
H -4.41363 0.77355 3.32115  0.215
H -2.44321 -1.23205 5.04610  0.203
H -3.28954 0.31148 5.13138  0.222
C 3.28530 0.05629 2.57018  -1.066
Si 2.45706 1.28894 1.37370  0.540
C 1.55065 2.52649 2.50592  -1.068
C 3.92481 2.25974 0.68287  -1.068
H 3.68064 0.59175 3.44085  0.235
H 4.13103 -0.43847 2.07842  0.236
H 2.62805 -0.73763 2.94995  0.199
H 2.17614 2.79228 3.36664  0.236
H 0.60156 2.13334 2.89300  0.209
H 1.32112 3.45331 1.96790  0.230
H 4.63529 2.48839 1.48760  0.235
H 3.61929 3.21582 0.24547  0.224
H 4.46759 1.69985 -0.08549  0.229

Atoms 1-2, force components in eV/Å:
-1.4272 -0.7587 -0.2633
0.0800 -0.0870 0.0407

=====

3.
A molecular structure, C6H10N2O at a distorted geometry. Source: the OMol25 dataset; level of theory: ωB97M-V/def2-TZVPD.

highest occupied orbital energy	-7.74	eV
____________
== Work order ==
Please transcribe the lines earlier on up to the one that holds "2.66750 -2.23205", that line included.
== Outcome ==
1.
A molecular structure, H3NO3S at a distorted geometry. Source: the OMol25 dataset; level of theory: ωB97M-V/def2-TZVPD.

highest occupied orbital energy	-10.70	eV
relative energy (zero: lowest compared OMol25 entry of this formula, charge and spin)	4.209	eV
energy	-680.3036	a.u.

Last column: natural (NBO) charge in e.
Atoms and positions in Å:
H -1.49532 0.42232 1.11797  0.450
H -1.84035 -0.36722 -0.71498  0.414
H 1.82349 -0.81490 1.01381  0.531
N -1.01662 -0.27072 0.11505  -1.128
O 0.88583 0.22856 1.04221  -0.904
O 0.44109 1.55437 -0.95486  -0.895
O 0.86653 -0.95756 -1.14925  -0.925
S 0.33535 0.20515 -0.46995  2.456

Atoms 1-2, force components in eV/Å:
2.1460 -2.6516 -4.5283
2.7983 0.4746 3.0094

=====

2.
A molecular structure, C26H42N6SiY at a distorted geometry. Source: the OMol25 dataset; level of theory: ωB97M-V/def2-TZVPD.

highest occupied orbital energy	-9.66	eV
total charge	+1
relative energy (zero: lowest compared OMol25 entry of this formula, charge and spin)	0.000	eV
energy	-1672.1846	a.u.

Last column: natural (NBO) charge in e.
Atoms and positions in Å:
Y 0.48784 0.15252 -0.28892  2.002
C -0.72708 3.11872 -1.36938  -0.414
N 0.18056 2.10292 -1.93729  -0.556
C 1.53136 2.67717 -2.13516  -0.411
C -0.31022 1.56972 -3.21903  0.138
C -0.58994 2.43272 -4.26703  -0.228
C -0.94948 1.94455 -5.51201  -0.242
C -0.97384 0.56776 -5.69895  -0.175
C -0.69604 -0.29615 -4.65105  -0.261
C -0.40453 0.18610 -3.36893  0.132
N -0.14210 -0.60345 -2.24432  -0.924
C -0.39543 -1.98816 -2.22650  0.213
C -1.52055 -2.57416 -2.81055  -0.256
C -1.70287 -3.94728 -2.79367  -0.189
C -0.76994 -4.76698 -2.17250  -0.223
C 0.31656 -4.19094 -1.53261  -0.217
C 0.49607 -2.81337 -1.52934  0.053
N 1.58620 -2.15631 -0.81287  -0.533
C 2.73010 -1.90655 -1.71391  -0.410
C 2.02753 -2.88465 0.38552  -0.420
H -0.71990 4.04198 -1.95154  0.207
H -0.41296 3.36245 -0.35135  0.210
H -1.74376 2.72917 -1.35170  0.220
H 1.50530 3.48425 -2.87016  0.207
H 2.21086 1.90522 -2.49518  0.222
H 1.90780 3.06957 -1.19127  0.221
H -0.51168 3.50494 -4.11778  0.213
H -1.17699 2.62330 -6.32284  0.226
H -1.20728 0.15711 -6.67414  0.224
H -0.68803 -1.36141 -4.83511  0.226
H -2.26353 -1.93536 -3.27183  0.227
H -2.57815 -4.37698 -3.26601  0.225
H -0.89076 -5.84223 -2.17232  0.226
H 1.02828 -4.82895 -1.02230  0.220
H 3.19611 -2.85028 -2.00772  0.206
H 3.47327 -1.29010 -1.20541  0.215
H 2.38140 -1.39302 -2.60701  0.232
H 2.60356 -3.77805 0.13374  0.203
H 1.16260 -3.18218 0.97695  0.220
H 2.66750 -2.23205 0.98086  0.221